# Data
'''
TlAgSe2, optimized geometry, DFT GGA-PBE; symmetry = R3m; final energy = -2.994 eV/atom; density = 7.70 g cm⁻³; D(E_F) = 2.6 states/eV/cell; raw formation energy = 0.0521 eV/atom
1.0
6.770 -0.018 -0.011
5.409 4.072 -0.011
5.409 1.800 3.653
Ag Se Tl
1 2 1
Direct
0.733 0.733 0.733
0.024 0.024 0.024
0.241 0.241 0.241
0.502 0.502 0.502



Sr2ErInHg6, optimized geometry, DFT GGA-PBE; symmetry = Fm-3m; final energy = -1.365 eV/atom; density = 7.79 g cm⁻³; D(E_F) = 8.7 states/eV/cell
1.0
7.940 0.000 0.000
0.001 7.940 0.000
3.970 3.970 5.614
In Hg Sr Er
1 6 2 1
Direct
0.000 0.000 0.000
0.247 0.247 0.505
0.247 0.753 0.000
0.247 0.247 0.000
0.753 0.753 0.495
0.753 0.753 0.000
0.753 0.247 0.000
0.750 0.250 0.500
0.250 0.750 0.500
0.500 0.500 0.000



SmCdHgRh, optimized geometry, DFT GGA-PBE; symmetry = F-43m; final energy = -3.655 eV/atom; density = 10.88 g cm⁻³; D(E_F) = 2.5 states/eV/cell
1.0
4.963 0.000 0.000
2.482 4.298 0.000
2.482 1.433 4.052
Cd Sm Rh Hg
1 1 1 1
Direct
0.250 0.250 0.250
0.750 0.750 0.750
0.500 0.500 0.500
0.000 0.000 0.000



RbGa2Ag, optimized geometry, DFT GGA-PBE; symmetry = R3m; final energy = -2.525 eV/atom; density = 4.68 g cm⁻³; D(E_F) = 1.8 states/eV/cell
1.0
4.299 0.000 1.547
1.870 3.871 1.547
-0.106 -0.066 7.038
Ga Rb Ag
2 1 1
Direct
0.302 0.302 0.095
0.014 0.014 0.957
0.498 0.498 0.506
0.686 0.686 0.943



Li2LaPuO6, optimized geometry, DFT GGA-PBE; symmetry = R-3; final energy = -7.873 eV/atom; density = 5.94 g cm⁻³; raw formation energy = -2.5896 eV/atom
1.0
-0.780 -5.111 -1.432
0.428 -3.905 3.653
-5.497 -2.510 1.900
O Li Pu La
6 2 1 1
Direct
0.688 0.066 0.847
0.066 0.399 0.847
0.567 0.233 0.256
0.233 0.944 0.256
0.399 0.688 0.847
0.944 0.567 0.256
0.622 0.622 0.135
0.011 0.011 0.968
0.316 0.316 0.051
0.816 0.816 0.552



SrNiW2, optimized geometry, DFT GGA-PBE; symmetry = Cm; final energy = -7.598 eV/atom; density = 9.92 g cm⁻³; D(E_F) = 3.4 states/eV/cell; polymorph energy (0 for the lowest one) = 67.4 kJ/mol of formula units
1.0
4.801 -0.029 0.043
3.784 2.955 0.043
1.331 0.454 6.032
W Sr Ni
2 1 1
Direct
0.033 0.033 0.881
0.754 0.754 0.756
0.238 0.238 0.270
0.474 0.474 0.593



La3Cu4Rh2, optimized geometry, DFT GGA-PBE; symmetry = C2/m; final energy = -5.498 eV/atom; density = 7.67 g cm⁻³; D(E_F) = 3.8 states/eV/cell
1.0
-2.539 -1.815 2.899
0.871 -3.588 -4.613
6.661 -0.923 5.257
Cu La Rh
4 3 2
Direct
0.275 0.550 0.947
0.725 0.450 0.053
0.960 0.920 0.618
0.040 0.080 0.382
0.678 0.356 0.654
0.322 0.644 0.346
0.000 0.000 0.000
0.389 0.778 0.731
0.611 0.222 0.269



K4Pu6F19, optimized geometry, DFT GGA-PBE; symmetry = I23; final energy = -7.564 eV/atom; density = 5.25 g cm⁻³; D(E_F) = 48.4 states/eV/cell; raw formation energy = -3.2214 eV/atom
1.0
2.782 -7.841 -4.239
0.396 -1.157 9.257
-8.776 1.954 -2.519
F Pu K
19 6 4
Direct
0.272 0.670 0.029
0.728 0.758 0.398
0.000 0.635 0.635
0.398 0.728 0.758
0.640 0.242 0.971
0.758 0.398 0.728
0.029 0.272 0.670
0.242 0.971 0.640
0.360 0.330 0.602
0.365 0.365 0.000
0.635 0.000 0.635
0.000 0.000 0.000
0.330 0.602 0.360
0.602 0.360 0.330
0.635 0.635 0.000
0.670 0.029 0.272
0.365 0.000 0.365
0.971 0.640 0.242
0.000 0.365 0.365
0.500 0.175 0.675
0.325 0.500 0.825
0.825 0.325 0.500
0.500 0.825 0.325
0.175 0.675 0.500
0.675 0.500 0.175
0.273 0.273 0.273
0.000 0.000 0.727
0.000 0.727 0.000
0.727 0.000 0.000



Nb2Co2P, optimized geometry, DFT GGA-PBE; symmetry = I4/mmm; final energy = -7.636 eV/atom; density = 6.84 g cm⁻³; D(E_F) = 4.3 states/eV/cell; polymorph energy (0 for the lowest one) = 291.8 kJ/mol of formula units
1.0
4.180 0.000 0.000
0.000 4.180 0.000
2.090 2.090 4.649
Nb Co P
2 2 1
Direct
0.250 0.750 0.500
0.750 0.250 0.500
0.385 0.385 0.230
0.615 0.615 0.770
0.000 0.000 0.000



SrLa2MgH, optimized geometry, DFT GGA-PBE; symmetry = P4/mmm; final energy = -3.391 eV/atom; density = 4.45 g cm⁻³; D(E_F) = 6.5 states/eV/cell; polymorph energy (0 for the lowest one) = 0.0 kJ/mol of formula units
1.0
-4.814 -1.051 -1.535
-0.372 -3.629 3.651
-1.933 3.729 3.510
'''

# Work order
Your job: search the calculation results above for the word "La3Cu4Rh2" and write out each line that has it.

# Written answer
La3Cu4Rh2, optimized geometry, DFT GGA-PBE; symmetry = C2/m; final energy = -5.498 eV/atom; density = 7.67 g cm⁻³; D(E_F) = 3.8 states/eV/cell